Permant Residence approved but still waiting for the GC!!


No my message did not said what you had in your post...

For almost 9 months it was that your case has been approved etc etc etc..
Then I called them and they updated my status with as I had reported few posts earlier in the same thread ...and now the new message....

I hope this response makes sense....if not let me know and I will post in more detail..

PR Card has Arrived

Finally the card has arrived .... It is backdated one year so one less thing to worry about .... The card looks a bit different (I must not have seen a new card for some time if this has been around) At the back of the card it seems there is some information in the central area which resembles a chip or magentic surface.... and I did not knew that these cards now come with their own personalized protective envelope....

Well thanks for all the wishes during this journey...and I do plan to keep visiting this online gathering .....Best wishes...

Previously (before 1999) they used to have a laminated pink card which used to say "Resident Alien". That pink card had been continuing for about past 20 years. In late 70's, early 80's they used to have a card WITHOUT expiration date (there are still few people left who use that card because it never expires). In 50's and 60's they used to have a "green colored card" and at that time it was first called "A green card" (sometime after world war II)

IN 1999, they came up with this totally redesigned - hi-tech card and it first time in history removed the word "alien" and now it says "Permanent Resident Card".

It sure does say "Category A06"
hi RAsylee,

Can you please tell me your exact approval date? I was just wondering if it was begining or the end of the month of november.

Someone pasted materials data at this point:
The following is a computed X-ray powder pattern of TlPdPb3. It was derived from a crystal structure in Alexandria, relaxed with GGA-PBE, using Cu Ka.

Main lines, in order of falling intensity (5 to 70 degrees two-theta):
2theta	I_rel
36.21	100
32.12	99
27.97	99
29.42	86
39.94	70
31.36	55
54.98	48
37.29	47
62.91	31
59.41	28

a = 8.2177 Å, b = 4.5151 Å, c = 8.5869 Å
α = 90.00°, β = 115.09°, γ = 90.00°
Atoms (fractional coordinates):
Tl: 0.1583 0.2500 0.2669
Tl: 0.8417 0.7500 0.7331
Pd: 0.4086 0.7500 0.8933
Pd: 0.5914 0.2500 0.1067
Pb: 0.1675 0.7500 0.5456
Pb: 0.1990 0.2500 0.9050
Pb: 0.4799 0.7500 0.2645
Pb: 0.5201 0.2500 0.7355
Pb: 0.8010 0.7500 0.0950
Pb: 0.8325 0.2500 0.4544



The following is a computed X-ray powder pattern of SrZn3Au9. It was derived from a crystal structure in Alexandria, relaxed with GGA-PBE, using Cu Ka.

Main lines, in order of falling intensity (5 to 70 degrees two-theta):
2theta	I_rel
38.03	100
37.55	80
37.30	68
43.13	52
42.66	51
32.92	49
41.47	44
33.54	38
41.99	36
39.00	34

a = 7.2895 Å, b = 7.2895 Å, c = 7.0008 Å
α = 96.96°, β = 96.96°, γ = 136.06°
Atoms (fractional coordinates):
Sr: 0.0000 0.0000 0.0000
Zn: 0.0000 0.5000 0.0000
Zn: 0.5000 0.0000 0.0000
Zn: 0.5000 0.5000 0.5000
Au: 0.0000 0.0000 0.5000
Au: 0.0394 0.6829 0.6651
Au: 0.3068 0.5278 0.7826
Au: 0.3171 0.9606 0.3349
Au: 0.4722 0.6932 0.2174
Au: 0.5278 0.3068 0.7826
Au: 0.6829 0.0394 0.6651
Au: 0.6932 0.4722 0.2174
Au: 0.9606 0.3171 0.3349



The following is a computed X-ray powder pattern of Pm2PrYHo. It was derived from a crystal structure in Alexandria, relaxed with GGA-PBE, using Cu Ka.

Main lines, in order of falling intensity (5 to 70 degrees two-theta):
2theta	I_rel
32.40	100
28.85	89
25.96	82
45.12	68
30.54	64
35.32	43
39.37	36
32.61	26
27.71	20
59.77	19

a = 7.2269 Å, b = 7.2269 Å, c = 7.2907 Å
α = 90.00°, β = 90.00°, γ = 108.21°
Atoms (fractional coordinates):
Pm: 0.1906 0.1906 0.0000
Pm: 0.1906 0.1906 0.5000
Pm: 0.8094 0.8094 0.0000
Pm: 0.8094 0.8094 0.5000
Pr: 0.2251 0.7749 0.7500
Pr: 0.7749 0.2251 0.2500
Y: 0.4923 0.5077 0.7500
Y: 0.5077 0.4923 0.2500
Ho: 0.2304 0.7696 0.2500
Ho: 0.7696 0.2304 0.7500



The following is a computed X-ray powder pattern of Cs2ErCdF6. It was derived from a crystal structure in Alexandria, relaxed with GGA-PBE, using Cu Ka.

Main lines, in order of falling intensity (5 to 70 degrees two-theta):
2theta	I_rel
26.50	100
46.77	42
37.82	33
54.56	21
61.65	20
68.30	7
16.13	4
18.65	2
32.60	1
49.80	1

a = 6.7241 Å, b = 9.5129 Å, c = 6.7337 Å
α = 90.00°, β = 90.00°, γ = 90.00°
Atoms (fractional coordinates):
Cs: 0.2500 0.0001 0.2488
Cs: 0.2500 0.4999 0.2488
Cs: 0.7500 0.9999 0.7512
Cs: 0.7500 0.5001 0.7512
Er: 0.2500 0.2500 0.7469
Er: 0.7500 0.7500 0.2531
Cd: 0.2500 0.7500 0.7504
Cd: 0.7500 0.2500 0.2496
F: 0.0220 0.2500 0.5193
F: 0.0221 0.2500 0.9741
F: 0.2500 0.0223 0.7460
F: 0.2500 0.4777 0.7460
F: 0.4780 0.2500 0.5193
F: 0.4779 0.2500 0.9741
F: 0.5221 0.7500 0.0259
F: 0.5220 0.7500 0.4807
F: 0.7500 0.5223 0.2540
So much for the materials data:

Yup - the new cards are biometric and all your information is in the 'scannable' back.

jaime00 - I hate to sound negative, but the printing of the card has absolutely nothing to do with when you went for signing or your approval date (for that matter). It depends on how fast your local CIS office sends the form I-551 we fill out when we go for stamping. I too got approved in Nov. 2003 and got stamped on Nov. 17 2003. I got my plastic card in May 2004. And believe me, that was a surprise - because I was anticipating waiting for almost 1 year. In fact, the day I went for stamping there was this Asylee in front of me who was upset because his temporary (white card) greencard was expiring and he hadn't received his plastic card yet. I personally don't see why it is so difficult to print a card!
i took me exactly 12 months to get the card ... but from what i read on this bb .. sometimes INS refuses to stamp again .... so everythin is possible
hi RAsylee,
Congratulations!!! You are the one old buddies in this forum. Not many of us left.